October 9, 1970 – July 11, 1994

by Kevin Hassell
She was born into this world as Shannon Michelle Wilsey, and left as porn star legend, Savannah. As there are plenty of sites dedicated to her, I will skip the details of her life story, and focus on the events surrounding her death.
In 1994, Savannah, or Shannon Michelle Wilsey, was going through hard times. She had drifted in and out of relationships with many high-profile rock stars, ranging from Gregg Allman and Billy Idol, to Axl Rose and Pauly Shore.
She was in a fierce battle with the IRS over mounting debts. She had recently been turned down by Hustler magazine for a photo spread (hrr), and the rejection was devastating. All this, and her continued drug use, combined to make her life miserable. Sadly, that would not last for very long.
On July 11, 1994, Savannah was returning to her rented home in the hills of Universal City, north of Hollywood. She was accompanied by Jason, a member of the rock group House of Pain.
He was house-sitting while they were on the road. At around 2 a.m., Savannah swerved from the road, driving through a picket fence and into a tree.
She totaled her Corvette.
She also broke her nose and suffered severe lacerations to her face.
For her, this was the beginning of the end.
Upon arriving home, she asked Jason to take her pet Rottweiler, Daisy, for a walk, and to go inspect the fence.
After he left, she phoned her manager, Nancy Pera. Savannah also worked as an exotic dancer, and commanded big bucks for her dancing, sometimes up to $5,000 an appearance. She was scheduled to leave in a few hours for a lucrative dance assignment, at Goldfinger’s, in Nyack, NY. Crying, and barely coherent, she told Pera that she would have to cancel her gig, and that she needed plastic surgery. According to Pera, “Savannah was in a crunch for money. She saw her world collapsing”. Sadly, this would prove to be very true.
When Jason returned minutes later, with Daisy, Savannah was nowhere to be found. Worried, he searched the house, finally coming to the garage. Upon opening the door, he found Savannah lying in a pool of blood on the floor, with a .40 Baretta between her legs. Unable to accept what had happened to her beautiful face, Savannah had decided to take her own life with a self-inflicted gunshot wound to her head.
Nancy Pera arrived a few minutes later, with police and paramedics already on the scene. Sadly, Savannah hadn’t died from the wound, and was barely breathing. Pera says that as Savannah was brought out on a stretcher, “I squeezed her foot, while shouting, “Stay with us!” Savannah was taken to St. Joseph’s Hospital.
Savannah would struggle for seven to eleven hours on life support. At 11 a.m., her father decided to shut her life support systems down when it became obvious that she would not survive. She was only 23 years old.
The reason that Savannah didn’t die right away was due to her placement of the gun at her right temple. When she pulled the trigger, the gun reared up, causing her to inflict an indirect impact on her brain.
Savannah wasn’t well liked by those that worked with her. She was frequently referred to as “the Ice Queen.” She continually boasted of her affairs with rock stars, from her groupie past with Greg Allman,
to having sex a half dozen times in a single evening with Billy Idol.
She said, on a scale of 1 to 10, Axl Rose was a 1 when it came to the sack. Savannah was well known for her preference of rock stars.
Upon hearing of her death, Screw magazine headlined the news of her suicide “DING DONG THE BITCH IS DEAD.” It was accompanied by text that read, “Everyone knew that she was an airhead, and now she’s got the hole in her head to prove it.” Others in the adult film industry were saddened. Said porn star Jenna Fine, “The world is a little less “sparkly” without her, and the heavens have one brighter star.”
40 people attended Savannah’s funeral. Savannah and her father were estranged, and the hospital was the first time that he had seen her in four years. She was cremated, and her ashes were given to her father. In her career, she worked in a total of 84 movies.
Trivia: Although she had a reputation as a bitch, Savannah was also very generous with her money. She gave to many different charities, in particular the Pediatric Aids Foundation.
According to Savannah, Billy Idol liked for her to wear high heels during sex.
== Calculated molecules that have nothing to do with the article ==
____________
1.
The ion C4H6NO5P with charge -2 at a distorted geometry, computed with ωB97M-V with the def2-TZVPD basis set.

HOMO level = -0.37 eV
energy above the lowest of the compared OMol25 structures with the same formula, charge and spin = 0.857 eV
Kohn-Sham gap = 7.0 eV
electronic energy = -25264.16110 eV
SMILES = CC(=O)O[P@](=O)([O-])/N=C(\C)[O-]
net charge = -2

Last column: Löwdin charge in e.
CARTESIAN COORDINATES (ANGSTROEM)
C1 1.444 -0.067 -1.037  -0.655
C2 -2.159 0.978 0.103  -0.654
C3 2.157 -1.288 -0.456  -0.070
C4 -1.226 1.794 1.047  -0.025
N1 0.175 0.106 -0.724  -0.059
O1 -0.720 -2.295 -0.854  -0.361
O2 -2.032 -0.273 -0.023  -0.081
O3 2.204 0.804 -1.548  -0.149
O4 -2.981 1.646 -0.532  -0.025
O5 -0.204 -1.346 1.488  -0.368
P1 -0.571 -1.149 0.060  0.208
H1 1.819 -2.216 -0.821  0.044
H2 3.170 -1.225 -0.600  0.026
H3 1.930 -1.238 0.537  0.016
H4 -1.257 1.471 2.049  0.042
H5 -0.353 1.415 0.549  0.023
H6 -1.397 2.883 0.762  0.089

***

2.
The ion C4H6NOS with charge +1 at a distorted geometry, computed with ωB97M-V with the def2-TZVPD basis set.

HOMO level = -14.28 eV
energy above the lowest of the compared OMol25 structures with the same formula, charge and spin = 1.549 eV
Kohn-Sham gap = 9.2 eV
electronic energy = -18609.12196 eV
SMILES = C=[N+]1SCCC1=O
net charge = +1

Last column: Löwdin charge in e.
CARTESIAN COORDINATES (ANGSTROEM)
C1 1.057 -0.294 0.034  -0.221
C2 0.623 2.277 -0.003  0.132
C3 0.043 -1.342 0.314  -0.145
C4 -1.281 -1.027 -0.414  -0.373
N1 0.024 1.145 0.046  -0.336
O1 2.189 -0.081 -0.056  0.257
S1 -1.593 0.625 0.190  1.049
H1 0.077 3.117 0.278  0.103
H2 1.594 2.166 -0.308  0.086
H3 0.560 -2.208 0.093  0.122
H4 -0.024 -1.472 1.343  0.128
H5 -1.291 -1.106 -1.460  0.077
H6 -1.979 -1.800 -0.057  0.120

***

3.
A structure of composition C4H6NaO2 at a distorted geometry, computed with ωB97M-V with the def2-TZVPD basis set.

HOMO level (alpha / beta) = -12.87 / -12.33 eV
energy above the lowest of the compared OMol25 structures with the same formula, charge and spin = 0.948 eV
Kohn-Sham gap (alpha / beta) = 8.6 / 7.0 eV
electronic energy = -12747.77446 eV
net charge = +1

Last column: Löwdin charge in e.
CARTESIAN COORDINATES (ANGSTROEM)
H1 0.545 -1.695 -0.713  0.139
O1 -1.718 -0.172 0.624  -0.049
C1 -0.723 -1.127 0.900  -0.240
C2 0.502 -0.942 0.082  -0.044
C3 1.348 0.096 -0.075  -0.014
C4 1.150 1.240 -0.957  -0.221
O2 0.125 1.502 -1.576  -0.049
H2 -1.771 0.476 1.329  0.100
H3 -1.119 -2.128 0.648  0.136
H4 -0.404 -1.080 1.956  0.141
H5 1.956 1.998 -0.938  0.135
H6 2.231 0.146 0.564  0.134
Na1 -2.124 1.686 -1.845  0.833

***

4.
A structure of composition C4H6O at a distorted geometry, computed with ωB97M-V with the def2-TZVPD basis set.

HOMO level (alpha / beta) = -1.64 / -1.96 eV
multiplicity = 2
energy above the lowest of the compared OMol25 structures with the same formula, charge and spin = 1.712 eV
Kohn-Sham gap (alpha / beta) = 6.1 / 6.4 eV
electronic energy = -6288.95677 eV
net charge = -1

Last column: Löwdin charge in e.
____________
== End of the calculated molecules ==
January 2003, from Findadeath friend Mike Pare in Canada:
Savannah was not the first girl who committed suicide after dating Gregg Allman, so did Jenny Aurness (correct sp) dtr. of James Arness-he never talks about her….She killed herself when he dumped her for Cher…
Interesting stuff Mike, thanks!
This just in, March 2003, from Findadeath friend Lee Josephs:
Hey Scott, I have been a visitor of your site for several years. I must say I am addicted to it. Those computer Nazi’s at my office must have noticed I liked it, since I can no longer view it from there. The wit and humor are definitely great!
Well, the reason why I am writing is because I stumbled upon another forgotten Hollywood child star who lived and died the stereo-typical Hollywood lifestyle. After reading about the porn star Savannah, I found that she picked that name because of a movie she really liked called Savannah Smiles.
Not a very memorable movie, but there was a cute little girl named Bridgette Anderson. It appears after the age of 12 that Bridgettte could no longer could find work as an actress, and had to return to a “normal” existence.
That existence led to her untimely death in 1997 at age 21, via an over dose or drugs and alcohol.
2004: Just a bit of trivia concerning Savannah, she used to date Tom Leykis!!! Talk about low self-esteem!!! Not that I don’t love Tom, but he’s icky!!!! Just proves what he says: big tits, big ego equals low self-esteem!
-Big BIG fan Rick
Thanks Rick!
She lived at 3802 Multiview. Crash was at 3791 Multiview
3791 Multiview Dr
The tree is still there.
It is bad to say bad things about the dead so say only good things, she is dead, GOOD
'''
{"formula": "C27H53AsBr3F12N6O10Y", "method": "the ωB97M-V functional and the def2-TZVPD basis", "e_homo_ha": -0.455, "total_charge": 2, "gap_ev": 5.57, "e_lumo_ha": -0.2498, "species": ["Y", "Br", "Br", "Br", "As", "F", "F", "F", "F", "F", "F", "F", "F", "F", "F", "F", "F", "O", "O", "O", "O", "O", "O", "O", "O", "O", "O", "N", "N", "N", "N", "N", "N", "C", "C", "C", "C", "C", "C", "C", "C", "C", "C", "C", "C", "C", "C", "C", "C", "C", "C", "C", "C", "C", "C", "C", "C", "C", "C", "C", "H", "H", "H", "H", "H", "H", "H", "H", "H", "H", "H", "H", "H", "H", "H", "H", "H", "H", "H", "H", "H", "H", "H", "H", "H", "H", "H", "H", "H", "H", "H", "H", "H", "H", "H", "H", "H", "H", "H", "H", "H", "H", "H", "H", "H", "H", "H", "H", "H", "H", "H", "H", "H"], "xyz": [[3.6356, 0.6323, -2.2733], [-1.2847, -5.1279, -3.5367], [-0.0189, -5.5869, -0.5421], [-3.3156, -5.3360, -0.9393], [-0.3038, -0.4562, -1.2315], [-1.6332, 3.5373, 7.2104], [-3.7968, 3.2387, 7.1007], [-2.4077, 1.7079, 6.7205], [0.4055, -1.5751, -0.0517], [-1.1740, -2.8756, 1.4787], [-1.9299, -1.0165, -0.7728], [-0.8717, 0.7308, -2.4248], [1.4504, 0.0860, -1.4828], [-0.1291, -1.8009, -2.3672], [-0.3951, 0.8523, -0.0411], [-2.7597, -4.2812, 2.0235], [-3.1646, -2.1870, 1.7777], [-2.5879, -3.7312, 4.5831], [-5.9939, 1.8762, -1.6688], [-2.8856, 2.1756, 4.2942], [-1.5563, -1.7523, 4.1535], [3.4161, 0.2076, 0.0958], [1.7965, 2.4495, -2.5816], [-2.5074, 4.4671, 4.5512], [2.0420, 0.1888, -4.0676], [3.3926, -1.7081, -2.2522], [3.9525, 2.5563, -0.9338], [-0.1992, 3.2591, -3.0016], [2.3823, -0.8901, 1.7354], [3.2059, 3.7110, 0.8196], [4.1320, -3.8203, -1.6011], [-4.9557, 0.3108, -0.3825], [0.6487, -1.1690, -4.9901], [1.5492, 4.9211, -2.3269], [4.4657, 0.3089, 2.2794], [-6.1913, -0.4125, 0.0363], [-4.9786, 1.3647, -1.2585], [1.8165, 3.4648, 0.9661], [2.2274, -3.7301, -3.0163], [-3.0060, 0.8159, 2.2233], [-2.6455, 3.2953, 5.0208], [-0.4084, -1.6492, -5.8666], [-2.6161, 2.9761, 6.5037], [1.3888, 0.8862, -6.2093], [-3.6424, 1.8512, -1.8520], [1.0727, 3.4670, -2.7024], [4.1457, 3.3370, -0.0042], [5.5642, 3.8364, 0.2896], [5.3223, -3.5007, -0.8649], [-2.9478, 2.2129, 2.8768], [-2.4919, -3.7070, 6.0178], [-1.0720, 4.2434, -3.6405], [-3.1017, -4.9798, 6.4901], [-1.5454, -4.7007, -1.5541], [3.3289, -2.9644, -2.2260], [1.3755, -0.0497, -5.0435], [3.3920, -0.1359, 1.2966], [2.3415, -1.4843, 3.0183], [-2.2612, -3.0572, 2.2440], [-2.0607, -2.7763, 3.7864], [-1.3719, 3.9674, -4.6514], [2.0863, 4.9106, -1.3784], [1.4969, 2.7131, 0.2444], [3.2841, -1.8697, 3.4070], [-3.8728, 0.1871, 2.4261], [-2.1667, 0.1901, 2.5267], [0.8709, -1.7196, -4.1730], [0.8775, 0.5650, -7.1168], [5.5315, -2.4336, -0.7908], [4.9034, 1.2506, 1.9483], [2.2304, 5.3204, -3.0784], [2.6342, -4.2160, -3.9032], [-0.4246, 2.2781, -3.0855], [-7.1664, -0.1031, -0.3400], [1.7728, -0.9215, 3.7585], [-2.0668, 2.7425, 2.5142], [0.8881, 1.8212, -5.9581], [5.5620, 4.6612, 1.0022], [0.7029, 5.5767, -2.1216], [6.1077, -3.8517, -1.5342], [-2.8404, 1.1334, -1.6801], [1.6035, -4.4192, -2.4472], [1.6647, -1.1764, 1.0848], [-3.6808, 2.1564, -2.8977], [-0.2239, -2.6732, -6.1913], [-1.9595, 4.2992, -3.0102], [1.5424, -3.0220, -3.4828], [-4.0549, -0.1087, -0.2017], [-6.2450, -0.2825, 1.1172], [6.1662, 3.0429, 0.7326], [-1.4022, -1.6446, -5.4188], [-2.8733, -5.1351, 7.5445], [-2.7873, -5.8867, 5.9737], [5.4196, -3.9659, 0.1160], [1.6556, -2.3241, 2.9064], [-3.8343, 2.7548, 2.5474], [-0.6940, 5.2546, -3.7910], [-3.2700, 2.6551, -1.2170], [-1.4716, -3.6265, -1.3847], [4.0835, 0.5025, 3.2817], [5.2406, -0.4576, 2.2707], [-1.4758, -3.6303, 6.4048], [-2.8675, 0.8826, 1.1442], [2.3714, 1.1558, -6.5966], [-4.1774, -4.9453, 6.3175], [3.9460, -4.8104, -1.6734], [1.5127, 3.0106, 1.9092], [-3.1040, -2.8489, 6.2954], [3.5193, 4.4152, 1.4721], [-6.1025, -1.4884, -0.1146], [1.2752, 4.4007, 0.8272], [-0.3757, -1.0803, -6.7958], [5.9496, 4.2876, -0.6247]], "forces_ev_per_a": [[-4.8255, 0.1806, 2.1094], [-0.2407, 0.5596, 1.6802], [-1.2847, 0.7006, -0.6375], [1.3891, 0.4256, -0.5537], [-0.4501, 0.1335, 1.5024], [-0.0566, 1.4861, -0.6490], [0.2477, 0.7416, -0.6280], [0.0241, -2.2999, -0.5169], [-0.3989, 0.6799, -0.5455], [0.0744, -0.3581, 0.8825], [1.6140, 0.6657, -0.8362], [0.6716, -1.9873, 0.4880], [-1.1039, -0.3816, -0.3777], [-0.2292, 1.4281, 0.3788], [0.1924, -1.1385, -0.7684], [0.5645, 0.2795, 0.1644], [-0.2411, 0.2310, 0.1738], [0.9698, 0.2121, -2.4991], [-0.6444, 0.1696, 0.2701], [0.2178, 0.4808, 1.7159], [0.2211, -0.2530, -0.2726], [1.1580, 0.1145, -1.1805], [1.0672, 0.4096, -0.1051], [-0.4026, -4.8521, 1.9781], [3.9756, 1.2224, 3.1948], [1.3445, 0.1693, 0.1740], [0.2600, -1.5913, -2.0959], [0.4034, 1.3645, -1.1555], [1.6310, 1.0270, -0.5785], [0.7006, 1.5608, 1.8955], [-0.5178, 1.2210, 0.6009], [-0.8231, 0.1979, -0.8658], [-0.2088, 0.0484, -0.6953], [-0.4080, -1.2032, -0.1103], [-0.3649, 0.1584, -0.4977], [0.8856, -0.0012, 1.2176], [0.2745, -0.3343, -1.2202], [-1.5817, -1.1404, -1.0109], [0.0026, 1.4070, -0.5802], [0.9212, -0.3161, 0.7159], [0.0688, 3.8487, -3.8327], [0.3208, -0.1955, -0.8497], [-0.2519, -0.4534, 2.0386], [-0.6967, 0.4112, -1.2317], [0.6835, -0.6081, 1.6506], [0.8046, 0.2664, 1.1064], [1.4031, -0.0797, 0.5311], [-1.0018, 0.8042, 0.0080], [1.4894, 0.3007, -0.7212], [-0.2951, -0.1247, -1.4451], [-0.2090, 0.5458, 0.0259], [-1.1045, 0.0676, 0.3595], [-0.8381, -0.7476, 0.1995], [0.0826, -1.3240, -0.3329], [-1.5822, -1.7823, -0.8885], [-1.8293, -1.1399, -2.3469], [-0.9172, -0.1833, 0.4475], [-1.4868, -1.2992, 1.2959], [-0.9547, -0.4876, 0.1190], [-0.2697, -0.3937, 1.2152], [0.0288, -0.5457, 0.1039], [0.1927, -0.4829, -0.1381], [-0.0799, 0.2513, -0.3570], [-0.0179, 0.2987, -0.1373], [-0.3058, 0.5700, 0.1131], [0.2153, 0.1705, 0.3263], [-0.4580, 0.3452, -0.0034], [-0.2030, -0.4570, 0.2856], [-0.6171, 0.0341, 0.1335], [0.0015, -0.1684, -0.2710], [-0.2290, 0.0690, -0.0677], [0.4576, -0.3795, 0.2986], [-0.1874, 0.1108, -0.0992], [0.6675, 0.5677, -0.5942], [0.5170, 0.5889, 0.1467], [-0.0066, 0.0859, -0.0434], [0.0799, 0.042
'''
Hi Scott, what’s the address of the crash site pls. Greetings from Australia!
He dosent know if he did he would have posted it. Its 4 blocks from my brothers house. I go there about once a week
On the crash site photo, it says 579t on the curb or something similar. Can somebody confirm the address and street? Also, does anybody know if the Corvette was repaired and is it still being driven? Thank you.
3791 Multiview Rd
It’s on the death certificate. 3502 Multiview dr.
3502 doesn’t exist. It goes from 3500 to 3514 and there’s a canyon in between so it must be a typo? Plus, if you search 3802 on spokeo she’s listed as a previous resident.